**Job**
Now echo all of the material further down word for word.

**Source**
┌──
The following is a simulated XRD peak list of K2PtC4S4N4. It was derived from DFT lattice parameters and positions (PBE), using a wavelength of 1.5418 Å.

Cell and atoms:
Cell lengths 4.471, 15.272, 11.484 Å; angles 90.00, 102.63, 90.00 degrees
Sites, in units of the cell vectors:
K  0.155  0.188  0.039
K  0.155  0.312  0.539
K  0.845  0.688  0.461
K  0.845  0.812  0.961
Pt  0.500  0.000  0.000
Pt  0.500  0.500  0.500
C  0.279  0.656  0.212
C  0.279  0.844  0.712
C  0.490  0.578  0.725
C  0.490  0.922  0.225
C  0.510  0.078  0.775
C  0.510  0.422  0.275
C  0.721  0.156  0.288
C  0.721  0.344  0.788
S  0.324  0.093  0.644
S  0.324  0.407  0.144
S  0.340  0.660  0.077
S  0.340  0.840  0.577
S  0.660  0.160  0.423
S  0.660  0.340  0.923
S  0.676  0.593  0.856
S  0.676  0.907  0.356
N  0.237  0.653  0.311
N  0.237  0.847  0.811
N  0.357  0.565  0.622
N  0.357  0.935  0.122
N  0.643  0.065  0.878
N  0.643  0.435  0.378
N  0.763  0.153  0.189
N  0.763  0.347  0.689

Main lines, sorted by position (15 to 90 degrees two-theta):
2θ 15.82, rel. 88, (0 0 2)
2θ 19.15, rel. 83, (0 3 1)
2θ 20.35, rel. 69, (1 0 0)
2θ 20.99, rel. 89, (1 1 -1)
2θ 23.48, rel. 88, (1 2 0)
2θ 24.53, rel. 67, (0 1 3)
2θ 25.77, rel. 45, (1 2 -2)
2θ 28.29, rel. 43, (0 4 2)
2θ 28.51, rel. 69, (1 0 2)
2θ 29.36, rel. 100, (1 3 1)
2θ 30.32, rel. 69, (0 5 1)
2θ 30.95, rel. 56, (1 4 -1)

----------

(1)
# Pu2MgGaAu6
Calculated powder X-ray diffraction pattern, Cu Kα, 1.54184 Å. Input: a DFT-relaxed cell (GGA-PBE, Alexandria).
Intensities are scaled so that the largest is 100.

Peak list (10 most intense, 10 to 80 degrees two-theta, sorted by position)
Position (°2θ)	Rel. int.
10.10	87
20.28	56
24.73	22
32.77	27
36.93	75
37.18	37
37.55	38
38.74	27
38.94	100
65.53	21

Cell and atoms:
a = 5.698 Å, b = 5.698 Å, c = 9.333 Å
α = 107.39°, β = 107.39°, γ = 60.32°
Positions (direct):
Pu 0.193 0.193 0.081
Pu 0.807 0.807 0.919
Mg 0.000 0.000 0.500
Ga 0.500 0.500 0.000
Au 0.245 0.747 0.245
Au 0.252 0.252 0.754
Au 0.253 0.755 0.755
Au 0.747 0.245 0.245
Au 0.748 0.748 0.246
Au 0.755 0.253 0.755



(2)
# LiEr5Ga4
Calculated powder X-ray diffraction pattern, Cu Kα, 1.54184 Å. Input: a DFT-relaxed cell (GGA-PBE, Alexandria).
Intensities are scaled so that the largest is 100.

Peak list (10 most intense, 10 to 80 degrees two-theta, sorted by position)
Position (°2θ)	Rel. int.
26.61	63
29.55	35
31.43	100
32.80	32
33.34	24
39.04	30
41.19	18
43.68	50
45.05	31
54.83	34

Cell and atoms:
a = 7.045 Å, b = 7.045 Å, c = 7.045 Å
α = 100.61°, β = 100.61°, γ = 129.18°
Positions (direct):
Li 0.000 0.000 0.000
Er 0.162 0.566 0.243
Er 0.322 0.919 0.757
Er 0.524 0.524 0.000
Er 0.566 0.322 0.403
Er 0.919 0.162 0.597
Ga 0.018 0.865 0.364
Ga 0.500 0.653 0.636
Ga 0.653 0.018 0.153
Ga 0.865 0.500 0.847



(3)
# LaHo5Ag4
Calculated powder X-ray diffraction pattern, Cu Kα, 1.54184 Å. Input: a DFT-relaxed cell (GGA-PBE, Alexandria).
Intensities are scaled so that the largest is 100.

Peak list (10 most intense, 10 to 80 degrees two-theta, sorted by position)
Position (°2θ)	Rel. int.
30.67	11
33.56	100
35.35	65
36.82	29
50.26	7
50.86	23
62.32	33
62.94	14
64.42	11
74.30	9

Cell and atoms:
a = 3.591 Å, b = 3.591 Å, c = 19.969 Å
α = 90.00°, β = 90.00°, γ = 90.00°
Positions (direct):
La 0.000 0.000 0.000
Ho 0.500 0.500 0.132
Ho 0.500 0.500 0.315
Ho 0.500 0.500 0.500
Ho 0.500 0.500 0.685
Ho 0.500 0.500 0.868
Ag 0.000 0.000 0.223
Ag 0.000 0.000 0.408
Ag 0.000 0.000 0.592
Ag 0.000 0.000 0.777



(4)
# Pm2Nd2Ho5
Calculated powder X-ray diffraction pattern, Cu Kα, 1.54184 Å. Input: a DFT-relaxed cell (GGA-PBE, Alexandria).
Intensities are scaled so that the largest is 100.

Peak list (10 most intense, 10 to 80 degrees two-theta, sorted by position)
Position (°2θ)	Rel. int.
25.72	33
27.72	27
28.29	27
29.71	100
32.33	50
33.77	35
34.62	45
36.15	54
42.67	35
52.23	19

Cell and atoms:
a = 3.503 Å, b = 8.341 Å, c = 10.884 Å
α = 80.25°, β = 80.74°, γ = 89.98°
Positions (direct):
Pm 0.045 0.355 0.409
Pm 0.955 0.645 0.591
└──

**Reply**
The following is a simulated XRD peak list of K2PtC4S4N4. It was derived from DFT lattice parameters and positions (PBE), using a wavelength of 1.5418 Å.

Cell and atoms:
Cell lengths 4.471, 15.272, 11.484 Å; angles 90.00, 102.63, 90.00 degrees
Sites, in units of the cell vectors:
K  0.155  0.188  0.039
K  0.155  0.312  0.539
K  0.845  0.688  0.461
K  0.845  0.812  0.961
Pt  0.500  0.000  0.000
Pt  0.500  0.500  0.500
C  0.279  0.656  0.212
C  0.279  0.844  0.712
C  0.490  0.578  0.725
C  0.490  0.922  0.225
C  0.510  0.078  0.775
C  0.510  0.422  0.275
C  0.721  0.156  0.288
C  0.721  0.344  0.788
S  0.324  0.093  0.644
S  0.324  0.407  0.144
S  0.340  0.660  0.077
S  0.340  0.840  0.577
S  0.660  0.160  0.423
S  0.660  0.340  0.923
S  0.676  0.593  0.856
S  0.676  0.907  0.356
N  0.237  0.653  0.311
N  0.237  0.847  0.811
N  0.357  0.565  0.622
N  0.357  0.935  0.122
N  0.643  0.065  0.878
N  0.643  0.435  0.378
N  0.763  0.153  0.189
N  0.763  0.347  0.689

Main lines, sorted by position (15 to 90 degrees two-theta):
2θ 15.82, rel. 88, (0 0 2)
2θ 19.15, rel. 83, (0 3 1)
2θ 20.35, rel. 69, (1 0 0)
2θ 20.99, rel. 89, (1 1 -1)
2θ 23.48, rel. 88, (1 2 0)
2θ 24.53, rel. 67, (0 1 3)
2θ 25.77, rel. 45, (1 2 -2)
2θ 28.29, rel. 43, (0 4 2)
2θ 28.51, rel. 69, (1 0 2)
2θ 29.36, rel. 100, (1 3 1)
2θ 30.32, rel. 69, (0 5 1)
2θ 30.95, rel. 56, (1 4 -1)

----------

(1)
# Pu2MgGaAu6
Calculated powder X-ray diffraction pattern, Cu Kα, 1.54184 Å. Input: a DFT-relaxed cell (GGA-PBE, Alexandria).
Intensities are scaled so that the largest is 100.

Peak list (10 most intense, 10 to 80 degrees two-theta, sorted by position)
Position (°2θ)	Rel. int.
10.10	87
20.28	56
24.73	22
32.77	27
36.93	75
37.18	37
37.55	38
38.74	27
38.94	100
65.53	21

Cell and atoms:
a = 5.698 Å, b = 5.698 Å, c = 9.333 Å
α = 107.39°, β = 107.39°, γ = 60.32°
Positions (direct):
Pu 0.193 0.193 0.081
Pu 0.807 0.807 0.919
Mg 0.000 0.000 0.500
Ga 0.500 0.500 0.000
Au 0.245 0.747 0.245
Au 0.252 0.252 0.754
Au 0.253 0.755 0.755
Au 0.747 0.245 0.245
Au 0.748 0.748 0.246
Au 0.755 0.253 0.755



(2)
# LiEr5Ga4
Calculated powder X-ray diffraction pattern, Cu Kα, 1.54184 Å. Input: a DFT-relaxed cell (GGA-PBE, Alexandria).
Intensities are scaled so that the largest is 100.

Peak list (10 most intense, 10 to 80 degrees two-theta, sorted by position)
Position (°2θ)	Rel. int.
26.61	63
29.55	35
31.43	100
32.80	32
33.34	24
39.04	30
41.19	18
43.68	50
45.05	31
54.83	34

Cell and atoms:
a = 7.045 Å, b = 7.045 Å, c = 7.045 Å
α = 100.61°, β = 100.61°, γ = 129.18°
Positions (direct):
Li 0.000 0.000 0.000
Er 0.162 0.566 0.243
Er 0.322 0.919 0.757
Er 0.524 0.524 0.000
Er 0.566 0.322 0.403
Er 0.919 0.162 0.597
Ga 0.018 0.865 0.364
Ga 0.500 0.653 0.636
Ga 0.653 0.018 0.153
Ga 0.865 0.500 0.847



(3)
# LaHo5Ag4
Calculated powder X-ray diffraction pattern, Cu Kα, 1.54184 Å. Input: a DFT-relaxed cell (GGA-PBE, Alexandria).
Intensities are scaled so that the largest is 100.

Peak list (10 most intense, 10 to 80 degrees two-theta, sorted by position)
Position (°2θ)	Rel. int.
30.67	11
33.56	100
35.35	65
36.82	29
50.26	7
50.86	23
62.32	33
62.94	14
64.42	11
74.30	9

Cell and atoms:
a = 3.591 Å, b = 3.591 Å, c = 19.969 Å
α = 90.00°, β = 90.00°, γ = 90.00°
Positions (direct):
La 0.000 0.000 0.000
Ho 0.500 0.500 0.132
Ho 0.500 0.500 0.315
Ho 0.500 0.500 0.500
Ho 0.500 0.500 0.685
Ho 0.500 0.500 0.868
Ag 0.000 0.000 0.223
Ag 0.000 0.000 0.408
Ag 0.000 0.000 0.592
Ag 0.000 0.000 0.777



(4)
# Pm2Nd2Ho5
Calculated powder X-ray diffraction pattern, Cu Kα, 1.54184 Å. Input: a DFT-relaxed cell (GGA-PBE, Alexandria).
Intensities are scaled so that the largest is 100.

Peak list (10 most intense, 10 to 80 degrees two-theta, sorted by position)
Position (°2θ)	Rel. int.
25.72	33
27.72	27
28.29	27
29.71	100
32.33	50
33.77	35
34.62	45
36.15	54
42.67	35
52.23	19

Cell and atoms:
a = 3.503 Å, b = 8.341 Å, c = 10.884 Å
α = 80.25°, β = 80.74°, γ = 89.98°
Positions (direct):
Pm 0.045 0.355 0.409
Pm 0.955 0.645 0.591